Source:
~~~
Molecular formula: C56H45Cl2IN5O3P2PtS
Method: DFT, wB97M-V/def2-TZVPD

Computed properties:
- orbital gap (eV) = 4.719
- charge = +3
- E_HOMO (Eh) = -0.50562
- energy (hartree) = -5077.9456

XYZ file:
```
116
Properties=species:S:1:pos:R:3:forces:R:3
Pt 0.612501 -0.195350 -0.841090 2.41 -1.10 -2.58
I -0.040018 5.123672 -3.954562 -0.08 0.18 0.01
Cl 1.154850 5.299476 0.558057 -0.57 0.35 -0.02
Cl -3.444840 5.363449 3.444370 0.09 -0.06 0.01
S 2.045491 -1.657885 -2.032251 -0.56 0.37 -0.11
P -1.051535 -1.333002 -2.252123 -0.32 0.02 0.92
P 1.232145 -1.622180 0.989821 -1.04 0.12 0.17
O -1.517600 -0.555838 0.594981 -1.15 0.49 0.94
O 2.803987 -1.073319 -3.140300 -0.07 -0.14 0.15
O -0.433161 1.244510 0.213622 -0.28 0.90 -0.18
N 0.636168 1.198325 -2.502257 -0.15 1.21 0.49
N 1.924989 2.143682 0.433303 0.45 0.32 0.10
N -1.049902 4.000316 2.041584 -0.68 0.12 0.49
N 1.527692 1.261685 -3.509907 -0.19 0.20 0.06
N 2.176652 0.997718 -0.216741 0.34 0.53 0.14
C -1.066017 8.236408 2.087207 -0.05 0.02 0.05
C 1.165509 -1.260240 3.726813 0.18 0.14 0.02
C 3.561174 -3.063114 1.338255 0.18 -0.10 -0.03
C 1.592341 -0.710991 4.926288 -0.01 0.02 0.02
C -2.851526 -2.720257 -0.670048 -0.13 0.09 -0.24
C -0.635088 -0.858551 -4.942303 -0.12 0.05 0.03
C 0.547794 3.225256 -3.472632 -0.14 -0.05 0.34
C 1.730937 -0.827533 2.518879 -0.21 0.28 0.19
C -2.049787 7.536752 2.760470 -0.08 0.00 0.10
C -0.978077 -2.786250 2.267969 -0.03 -0.18 -0.21
C 2.746871 0.142435 2.544615 -0.09 -0.22 0.27
C 1.771136 -4.186042 -3.005220 -0.07 0.04 -0.03
C -0.969216 3.544766 4.414448 0.20 0.08 0.32
C 5.166815 -3.512644 -0.418292 0.01 -0.02 0.01
C -2.069977 6.149816 2.739573 -0.53 0.14 0.10
C 0.347078 -4.209423 0.822675 -0.05 0.06 0.01
C -1.202572 2.742540 5.517496 0.10 0.24 0.02
C 3.163515 0.678497 3.748299 -0.03 -0.02 0.02
C -0.364942 -5.077611 -3.671132 -0.03 0.02 0.02
C 1.489546 2.458115 -4.114367 0.19 -0.34 -0.23
C -5.063350 -1.916577 -2.160656 0.01 0.04 0.00
C -1.006261 -3.917225 -3.256647 0.06 -0.17 -0.07
C 1.107373 -3.031998 -2.595021 0.26 -0.15 -0.10
C -2.462372 1.363998 1.651897 0.26 0.59 -0.35
C -0.465084 -5.288706 1.142263 0.02 0.02 -0.05
C -1.608991 0.998151 -6.121227 -0.01 0.00 -0.02
C -2.026354 0.745601 -3.768802 0.06 -0.07 -0.19
C -2.142045 1.091258 4.090882 0.09 -0.17 -0.24
C -1.318087 3.134614 3.133579 0.33 0.45 -0.34
C -0.105282 7.537152 1.383024 0.16 -0.04 -0.13
C -1.769638 -3.872395 2.593381 0.01 -0.06 -0.05
C 0.057710 2.409478 -2.451906 0.02 -0.19 -0.09
C -0.132202 6.156568 1.408469 0.60 0.14 -0.16
C -1.084413 5.412492 2.091838 0.19 -0.83 -0.13
C -0.257171 -2.877749 -2.712970 -0.23 -0.16 0.00
C -3.803908 -1.430658 -2.487271 -0.02 -0.07 0.11
C 1.015806 -5.213126 -3.543743 -0.02 -0.05 -0.03
C -1.912706 1.888432 2.962529 -0.27 -0.48 0.09
C -4.107946 -3.201260 -0.361948 -0.01 0.01 0.00
C 2.578144 0.262138 4.939823 0.02 0.02 0.06
C 2.742148 -2.417292 0.416647 0.15 -0.06 0.43
C 0.102061 -2.952344 1.387238 -0.05 -0.28 -0.05
C 3.144782 -2.370058 -0.896472 0.41 0.16 -0.06
C -1.515513 -5.121246 2.030943 -0.07 -0.01 0.06
C 4.357749 -2.875548 -1.347343 0.08 0.00 0.06
C 3.441984 1.073754 -0.648986 0.10 0.06 0.00
C -1.244986 -0.418089 -3.767116 0.01 0.13 -0.31
C 4.758683 -3.624421 0.909647 -0.03 0.02 0.01
C -0.823264 -0.145369 -6.119219 -0.02 0.04 -0.05
C -2.214203 1.444412 -4.946759 0.05 -0.01 -0.03
C -5.217443 -2.786822 -1.094861 -0.04 -0.06 0.03
C -1.790518 1.498286 5.359694 0.03 -0.06 0.08
C -1.453290 0.664544 0.777743 -0.15 -2.09 0.26
C -2.692929 -1.815933 -1.728251 -0.24 -0.03 -0.01
C 3.003447 2.931608 0.448329 0.19 -0.11 0.09
C 4.008645 2.276822 -0.238456 0.11 -0.14 -0.07
H -0.034442 -1.761059 -4.956092 -0.03 0.06 -0.02
H 1.152941 -1.055639 5.853796 0.02 0.01 -0.03
H -2.831409 2.334728 -4.956579 0.04 -0.04 0.00
H 2.843653 -4.290535 -2.912194 -0.03 0.01 0.00
H 3.277974 -3.115942 2.383180 0.02 0.02 -0.04
H -1.986024 0.865840 6.215304 -0.04 0.02 -0.01
H -2.137473 -5.968689 2.294501 0.03 0.05 0.00
H -2.946051 2.160156 1.073399 0.09 0.05 0.08
~~~
Job:
Next, search the entries further up for the word "wB97M-V" and give back each line that has it.
Outcome:
Method: DFT, wB97M-V/def2-TZVPD